_Entries_
- - -
Record 1
{"formula": "Ba2LuNbO6", "functional": "meta-GGA r2SCAN", "state": "relaxed", "lattice_angstrom": [[-5.0644, -3.0930, 0.2911], [-3.7875, 0.9173, 4.4847], [-5.1942, 2.7040, -1.0042]], "species": ["Ba", "O", "O", "Lu", "O", "O", "O", "Ba", "O", "Nb"], "fractional_positions": [[0.2500, 0.2500, 0.2500], [0.7598, 0.2402, 0.7598], [0.2402, 0.2402, 0.7598], [0.5000, 0.5000, 0.5000], [0.2402, 0.7598, 0.7598], [0.7598, 0.7598, 0.2402], [0.2402, 0.7598, 0.2402], [0.7500, 0.7500, 0.7500], [0.7598, 0.2402, 0.2402], [0.0000, 0.0000, 0.0000]]}

***

Record 2
{"formula": "LiPm2Si", "functional": "meta-GGA r2SCAN", "state": "relaxed", "lattice_angstrom": [[-3.4495, 3.7671, 0.2086], [0.1271, 3.7758, -3.4440], [-3.6454, 0.3282, -3.5689]], "species": ["Si", "Li", "Pm", "Pm"], "fractional_positions": [[0.7500, 0.7500, 0.7500], [0.2500, 0.2500, 0.2500], [0.5000, 0.5000, 0.5000], [0.0000, 0.0000, 0.0000]]}

***

Record 3
{"formula": "BaTe3", "functional": "meta-GGA r2SCAN", "state": "relaxed", "lattice_angstrom": [[4.4862, 0.0000, 0.0000], [0.0000, 8.0766, 0.0000], [0.0000, 0.0000, 8.0766]], "species": ["Te", "Te", "Ba", "Te", "Te", "Te", "Ba", "Te"], "fractional_positions": [[0.5075, 0.3006, 0.1994], [0.1281, 0.0000, 0.5000], [0.0000, 0.5000, 0.5000], [0.5075, 0.6994, 0.8006], [0.4925, 0.8006, 0.3006], [0.8719, 0.5000, 0.0000], [0.0000, 0.0000, 0.0000], [0.4925, 0.1994, 0.6994]]}

***

Short version: formation enthalpy at 0 K = -3264, -153, -398 kJ/mol of formula units, in the order given.
Short version: energy = -18.5474, -17.9558, -26.7192 eV/atom, in the order given.

----------

(1)
DFT (PBE with a Hubbard U) results for a relaxed structure of MgV4O10.

Properties
SG: P-1, No. 2
V in A^3/atom: 12.83
Energy of formation from the pure elements in eV per formula unit: -37.40

Cell: 5.3685 5.0676 7.8594 Å, 107.68 102.05 100.21°
With the nearest neighbours (Å) after each atom.
Fractional positions:
O 0.7706 0.6926 0.9518  2 V 1.74-1.91
O 0.5126 0.9790 0.1988  1 V 1.71
O 0.9406 0.8878 0.6852  1 V 1.75
O 0.2525 0.4430 0.7196  1 V 1.79
O 0.2294 0.3074 0.0482  2 V 1.74-1.91
O 0.0594 0.1122 0.3148  1 V 1.75
O 0.6487 0.3584 0.5473  1 V 1.77
O 0.7475 0.5570 0.2804  1 V 1.79
O 0.3513 0.6417 0.4527  1 V 1.77
O 0.4874 0.0210 0.8012  1 V 1.71
V 0.4059 0.3390 0.2946  2 O 1.77-1.91
V 0.5941 0.6610 0.7054  2 O 1.77-1.91
V 0.2245 0.1654 0.8160  4 O 1.71-1.79
V 0.7755 0.8346 0.1840  4 O 1.71-1.79
Mg 0.0000 0.5000 0.5000  6 O 2.05-2.18

=====

(2)
DFT (PBE with a Hubbard U) results for a relaxed structure of LiMnF4.

Properties
SG: P3_1, No. 144
V in A^3/atom: 12.71
Energy of formation from the pure elements in eV per formula unit: -17.15

Cell: 7.0237 7.0237 10.7111 Å, 90.00 90.00 120.00°
With the nearest neighbours (Å) after each atom.
Fractional positions:
F 0.5482 0.9048 0.8213  1 Li 1.91, 1 Mn 1.92
F 0.6031 0.0307 0.5946  1 Li 1.96, 2 Mn 1.99-2.13
F 0.3566 0.4518 0.4880  1 Li 1.91, 1 Mn 1.92
F 0.2772 0.0048 0.9299  1 Mn 1.86
F 0.6926 0.2597 0.0970  1 Mn 1.87, 1 Li 1.94
F 0.0952 0.6434 0.1546  1 Li 1.91, 1 Mn 1.92
F 0.9693 0.5725 0.9279  1 Li 1.96, 2 Mn 1.99-2.13
F 0.7225 0.6878 0.0717  1 Mn 1.86, 1 Li 1.96
F 0.3122 0.0348 0.4050  1 Mn 1.86, 1 Li 1.96
F 0.9952 0.2724 0.2632  1 Mn 1.86
F 0.9581 0.1298 0.4857  1 Mn 1.98, 1 Li 2.13
F 0.7276 0.7228 0.5966  1 Mn 1.86
F 0.2838 0.4652 0.0204  1 Mn 1.88, 1 Li 2.02
F 0.9045 0.0897 0.9991  1 Mn 1.89, 1 Li 2.02
F 0.5348 0.8186 0.3537  1 Mn 1.88, 1 Li 2.02
F 0.9652 0.2775 0.7383  1 Mn 1.86, 1 Li 1.96
F 0.5671 0.3074 0.7637  1 Mn 1.87, 1 Li 1.94
F 0.1814 0.7162 0.6870  1 Mn 1.88, 1 Li 2.02
F 0.4275 0.3969 0.2612  1 Li 1.96, 2 Mn 1.99-2.13
F 0.1852 0.0955 0.6658  1 Mn 1.89, 1 Li 2.02
F 0.8702 0.8283 0.8191  1 Mn 1.98, 1 Li 2.13
F 0.9103 0.8148 0.3325  1 Mn 1.89, 1 Li 2.02
F 0.1717 0.0419 0.1524  1 Mn 1.98, 1 Li 2.13
F 0.7403 0.4329 0.4303  1 Mn 1.87, 1 Li 1.94
Mn 0.0098 0.8426 0.0116  4 F 1.86-1.99
Mn 0.3780 0.0079 0.7344  4 F 1.87-1.92
Mn 0.1574 0.1671 0.3449  4 F 1.86-1.99
Mn 0.8329 0.9902 0.6783  4 F 1.86-1.99
- - -
_Request_
Next, repeat all of the data further up character by character.
_Here it is_
Record 1
{"formula": "Ba2LuNbO6", "functional": "meta-GGA r2SCAN", "state": "relaxed", "lattice_angstrom": [[-5.0644, -3.0930, 0.2911], [-3.7875, 0.9173, 4.4847], [-5.1942, 2.7040, -1.0042]], "species": ["Ba", "O", "O", "Lu", "O", "O", "O", "Ba", "O", "Nb"], "fractional_positions": [[0.2500, 0.2500, 0.2500], [0.7598, 0.2402, 0.7598], [0.2402, 0.2402, 0.7598], [0.5000, 0.5000, 0.5000], [0.2402, 0.7598, 0.7598], [0.7598, 0.7598, 0.2402], [0.2402, 0.7598, 0.2402], [0.7500, 0.7500, 0.7500], [0.7598, 0.2402, 0.2402], [0.0000, 0.0000, 0.0000]]}

***

Record 2
{"formula": "LiPm2Si", "functional": "meta-GGA r2SCAN", "state": "relaxed", "lattice_angstrom": [[-3.4495, 3.7671, 0.2086], [0.1271, 3.7758, -3.4440], [-3.6454, 0.3282, -3.5689]], "species": ["Si", "Li", "Pm", "Pm"], "fractional_positions": [[0.7500, 0.7500, 0.7500], [0.2500, 0.2500, 0.2500], [0.5000, 0.5000, 0.5000], [0.0000, 0.0000, 0.0000]]}

***

Record 3
{"formula": "BaTe3", "functional": "meta-GGA r2SCAN", "state": "relaxed", "lattice_angstrom": [[4.4862, 0.0000, 0.0000], [0.0000, 8.0766, 0.0000], [0.0000, 0.0000, 8.0766]], "species": ["Te", "Te", "Ba", "Te", "Te", "Te", "Ba", "Te"], "fractional_positions": [[0.5075, 0.3006, 0.1994], [0.1281, 0.0000, 0.5000], [0.0000, 0.5000, 0.5000], [0.5075, 0.6994, 0.8006], [0.4925, 0.8006, 0.3006], [0.8719, 0.5000, 0.0000], [0.0000, 0.0000, 0.0000], [0.4925, 0.1994, 0.6994]]}

***

Short version: formation enthalpy at 0 K = -3264, -153, -398 kJ/mol of formula units, in the order given.
Short version: energy = -18.5474, -17.9558, -26.7192 eV/atom, in the order given.

----------

(1)
DFT (PBE with a Hubbard U) results for a relaxed structure of MgV4O10.

Properties
SG: P-1, No. 2
V in A^3/atom: 12.83
Energy of formation from the pure elements in eV per formula unit: -37.40

Cell: 5.3685 5.0676 7.8594 Å, 107.68 102.05 100.21°
With the nearest neighbours (Å) after each atom.
Fractional positions:
O 0.7706 0.6926 0.9518  2 V 1.74-1.91
O 0.5126 0.9790 0.1988  1 V 1.71
O 0.9406 0.8878 0.6852  1 V 1.75
O 0.2525 0.4430 0.7196  1 V 1.79
O 0.2294 0.3074 0.0482  2 V 1.74-1.91
O 0.0594 0.1122 0.3148  1 V 1.75
O 0.6487 0.3584 0.5473  1 V 1.77
O 0.7475 0.5570 0.2804  1 V 1.79
O 0.3513 0.6417 0.4527  1 V 1.77
O 0.4874 0.0210 0.8012  1 V 1.71
V 0.4059 0.3390 0.2946  2 O 1.77-1.91
V 0.5941 0.6610 0.7054  2 O 1.77-1.91
V 0.2245 0.1654 0.8160  4 O 1.71-1.79
V 0.7755 0.8346 0.1840  4 O 1.71-1.79
Mg 0.0000 0.5000 0.5000  6 O 2.05-2.18

=====

(2)
DFT (PBE with a Hubbard U) results for a relaxed structure of LiMnF4.

Properties
SG: P3_1, No. 144
V in A^3/atom: 12.71
Energy of formation from the pure elements in eV per formula unit: -17.15

Cell: 7.0237 7.0237 10.7111 Å, 90.00 90.00 120.00°
With the nearest neighbours (Å) after each atom.
Fractional positions:
F 0.5482 0.9048 0.8213  1 Li 1.91, 1 Mn 1.92
F 0.6031 0.0307 0.5946  1 Li 1.96, 2 Mn 1.99-2.13
F 0.3566 0.4518 0.4880  1 Li 1.91, 1 Mn 1.92
F 0.2772 0.0048 0.9299  1 Mn 1.86
F 0.6926 0.2597 0.0970  1 Mn 1.87, 1 Li 1.94
F 0.0952 0.6434 0.1546  1 Li 1.91, 1 Mn 1.92
F 0.9693 0.5725 0.9279  1 Li 1.96, 2 Mn 1.99-2.13
F 0.7225 0.6878 0.0717  1 Mn 1.86, 1 Li 1.96
F 0.3122 0.0348 0.4050  1 Mn 1.86, 1 Li 1.96
F 0.9952 0.2724 0.2632  1 Mn 1.86
F 0.9581 0.1298 0.4857  1 Mn 1.98, 1 Li 2.13
F 0.7276 0.7228 0.5966  1 Mn 1.86
F 0.2838 0.4652 0.0204  1 Mn 1.88, 1 Li 2.02
F 0.9045 0.0897 0.9991  1 Mn 1.89, 1 Li 2.02
F 0.5348 0.8186 0.3537  1 Mn 1.88, 1 Li 2.02
F 0.9652 0.2775 0.7383  1 Mn 1.86, 1 Li 1.96
F 0.5671 0.3074 0.7637  1 Mn 1.87, 1 Li 1.94
F 0.1814 0.7162 0.6870  1 Mn 1.88, 1 Li 2.02
F 0.4275 0.3969 0.2612  1 Li 1.96, 2 Mn 1.99-2.13
F 0.1852 0.0955 0.6658  1 Mn 1.89, 1 Li 2.02
F 0.8702 0.8283 0.8191  1 Mn 1.98, 1 Li 2.13
F 0.9103 0.8148 0.3325  1 Mn 1.89, 1 Li 2.02
F 0.1717 0.0419 0.1524  1 Mn 1.98, 1 Li 2.13
F 0.7403 0.4329 0.4303  1 Mn 1.87, 1 Li 1.94
Mn 0.0098 0.8426 0.0116  4 F 1.86-1.99
Mn 0.3780 0.0079 0.7344  4 F 1.87-1.92
Mn 0.1574 0.1671 0.3449  4 F 1.86-1.99
Mn 0.8329 0.9902 0.6783  4 F 1.86-1.99